'''
Density functional theory data (ωB97M-V with the def2-TZVPD basis set) for a molecular structure, C35H41N5O2SY.

Values from the calculation:
HOMO level   -0.3899 Ha
Charge   +1
Frontier orbital gap   6.28 eV
Lowest unoccupied orbital energy   -4.33 eV
Relative energy (zero: lowest compared OMol25 entry of this formula, charge and spin)   11.2 kcal per mole

Structure (XYZ):
```
85
Properties=species:S:1:pos:R:3:forces:R:3
Y -0.0807 0.4288 0.1270 0.795 0.305 -0.010
C -2.0782 -1.2880 -5.3152 -0.020 -0.015 -0.128
C -1.2020 -1.6377 -4.1164 0.043 -0.059 0.177
C -0.9892 -3.1513 -4.0154 0.018 -0.091 -0.041
C 0.1335 -0.9195 -4.1514 -0.004 0.074 -0.056
C 1.0291 -1.2290 -5.1664 0.026 0.035 -0.006
C 2.2860 -0.6511 -5.2265 -0.013 -0.008 -0.004
C 2.6745 0.2353 -4.2403 -0.034 0.011 0.010
C 1.8023 0.5783 -3.2112 0.106 -0.057 -0.085
C 2.2986 1.4463 -2.0767 -0.075 0.056 0.051
C 3.2042 2.5946 -2.5124 0.046 0.063 -0.033
C 3.0299 0.5557 -1.0709 0.017 -0.317 0.217
C 0.5212 0.0229 -3.1820 -0.068 -0.009 0.103
N -0.3924 0.3593 -2.1294 0.030 0.021 -0.175
C -1.5552 0.9280 -2.5626 -0.542 -0.005 0.281
O -1.8168 1.4580 -3.6244 0.292 -0.104 -0.137
C -2.6706 0.7972 -1.5388 -0.109 -0.104 0.024
C -4.0076 1.0050 -1.8232 0.053 0.046 0.034
C -4.9361 0.7473 -0.8197 -0.003 0.013 -0.053
C -4.5209 0.2954 0.4274 0.037 0.011 0.052
C -3.1651 0.1293 0.6376 -0.025 -0.109 0.056
N -2.2910 0.3700 -0.3370 -0.361 0.046 -0.021
C -2.5493 -0.3969 1.9247 -0.082 0.011 0.035
O -3.2586 -0.7309 2.8528 -0.012 -0.006 0.000
N -1.1902 -0.4442 1.8536 0.064 -0.110 -0.398
C -0.4917 -1.1204 2.9048 -0.203 0.198 0.099
C -0.0843 -2.4522 2.6949 0.055 0.162 0.027
C 0.5586 -3.1172 3.7283 0.103 0.084 0.044
C 0.8071 -2.4776 4.9356 0.029 -0.121 -0.034
C 0.4108 -1.1691 5.1235 -0.004 0.144 -0.023
C -0.2500 -0.4654 4.1185 0.079 -0.186 0.013
C -0.7298 0.9469 4.3748 -0.139 -0.054 -0.057
C -1.7159 0.9843 5.5415 -0.075 0.006 0.104
C 0.4315 1.9062 4.6118 0.216 0.064 0.100
C -0.3323 -3.1196 1.3573 -0.066 -0.127 -0.030
C -0.4439 -4.6410 1.4353 -0.061 -0.071 0.052
C 0.7758 -2.7847 0.3580 0.115 0.186 -0.090
H -3.0285 -1.8217 -5.2580 -0.020 0.012 0.019
H -1.5943 -1.5883 -6.2471 0.009 0.003 0.005
H -2.2763 -0.2186 -5.3634 0.012 -0.001 0.011
H -1.7296 -1.3371 -3.2093 -0.005 -0.018 -0.026
H -0.5925 -3.5609 -4.9460 0.014 0.022 -0.010
H -1.9314 -3.6628 -3.8122 -0.022 0.028 -0.011
H -0.2828 -3.4069 -3.2229 -0.020 0.024 0.036
H 0.7389 -1.9408 -5.9290 -0.015 -0.010 0.000
H 2.9623 -0.9030 -6.0323 0.012 0.003 0.001
H 3.6672 0.6653 -4.2735 0.014 0.007 -0.002
H 1.4177 1.9064 -1.6054 0.019 0.014 -0.034
H 4.1824 2.2403 -2.8393 -0.012 -0.036 -0.024
H 3.3829 3.2855 -1.6836 -0.028 -0.015 0.029
H 2.7547 3.1524 -3.3328 -0.004 0.013 0.007
H 3.7509 -0.0853 -1.5810 0.003 0.073 -0.057
H 2.3736 -0.1657 -0.5494 0.011 0.007 -0.092
H 3.5693 1.1065 -0.3030 0.019 0.104 -0.060
H -4.2874 1.3458 -2.8097 -0.020 0.005 0.003
H -5.9907 0.8878 -1.0162 -0.009 0.000 0.000
H -5.2127 0.0668 1.2254 0.005 0.001 0.009
H 0.8653 -4.1466 3.6048 0.000 -0.009 -0.008
H 1.3015 -3.0136 5.7347 0.007 -0.003 0.008
H 0.5938 -0.6875 6.0767 0.009 -0.006 0.000
H -1.2631 1.2781 3.4827 -0.014 0.038 0.001
H -1.2192 0.7631 6.4889 0.020 -0.007 -0.022
H -2.5131 0.2555 5.3996 0.002 0.009 -0.049
H -2.1690 1.9731 5.6312 0.019 0.015 -0.006
H 1.0130 1.6203 5.4918 -0.054 -0.005 0.008
H 0.0730 2.9249 4.7748 -0.042 -0.002 -0.008
H 1.1276 1.9166 3.7691 -0.015 -0.022 -0.068
H -1.2800 -2.7371 0.9709 0.017 -0.019 -0.037
H 0.5079 -5.1073 1.6946 0.018 0.022 -0.006
H -0.7490 -5.0471 0.4705 -0.006 0.019 -0.015
H -1.1796 -4.9470 2.1782 -0.019 0.031 0.002
H 1.7413 -3.1639 0.6975 -0.023 -0.066 0.026
H 0.9597 -1.7007 0.2357 0.014 -0.087 0.067
H 0.5784 -3.1770 -0.6398 -0.045 -0.024 -0.004
S -0.9464 3.1182 0.3236 0.074 0.007 -0.001
C 0.6022 3.4377 0.8495 0.154 -0.019 0.066
N 1.0133 4.7092 1.1351 -0.017 0.110 0.014
C 2.2411 5.0143 1.6025 -0.062 -0.038 -0.025
C 3.1414 4.0143 1.8055 -0.094 -0.008 -0.032
C 2.7052 2.7183 1.4886 0.108 -0.043 0.149
N 1.5099 2.4334 1.0190 -0.299 -0.081 0.018
'''
Could you print the listing above from the line with "0.3580 0.115" to the end with every line break kept?
C 0.7758 -2.7847 0.3580 0.115 0.186 -0.090
H -3.0285 -1.8217 -5.2580 -0.020 0.012 0.019
H -1.5943 -1.5883 -6.2471 0.009 0.003 0.005
H -2.2763 -0.2186 -5.3634 0.012 -0.001 0.011
H -1.7296 -1.3371 -3.2093 -0.005 -0.018 -0.026
H -0.5925 -3.5609 -4.9460 0.014 0.022 -0.010
H -1.9314 -3.6628 -3.8122 -0.022 0.028 -0.011
H -0.2828 -3.4069 -3.2229 -0.020 0.024 0.036
H 0.7389 -1.9408 -5.9290 -0.015 -0.010 0.000
H 2.9623 -0.9030 -6.0323 0.012 0.003 0.001
H 3.6672 0.6653 -4.2735 0.014 0.007 -0.002
H 1.4177 1.9064 -1.6054 0.019 0.014 -0.034
H 4.1824 2.2403 -2.8393 -0.012 -0.036 -0.024
H 3.3829 3.2855 -1.6836 -0.028 -0.015 0.029
H 2.7547 3.1524 -3.3328 -0.004 0.013 0.007
H 3.7509 -0.0853 -1.5810 0.003 0.073 -0.057
H 2.3736 -0.1657 -0.5494 0.011 0.007 -0.092
H 3.5693 1.1065 -0.3030 0.019 0.104 -0.060
H -4.2874 1.3458 -2.8097 -0.020 0.005 0.003
H -5.9907 0.8878 -1.0162 -0.009 0.000 0.000
H -5.2127 0.0668 1.2254 0.005 0.001 0.009
H 0.8653 -4.1466 3.6048 0.000 -0.009 -0.008
H 1.3015 -3.0136 5.7347 0.007 -0.003 0.008
H 0.5938 -0.6875 6.0767 0.009 -0.006 0.000
H -1.2631 1.2781 3.4827 -0.014 0.038 0.001
H -1.2192 0.7631 6.4889 0.020 -0.007 -0.022
H -2.5131 0.2555 5.3996 0.002 0.009 -0.049
H -2.1690 1.9731 5.6312 0.019 0.015 -0.006
H 1.0130 1.6203 5.4918 -0.054 -0.005 0.008
H 0.0730 2.9249 4.7748 -0.042 -0.002 -0.008
H 1.1276 1.9166 3.7691 -0.015 -0.022 -0.068
H -1.2800 -2.7371 0.9709 0.017 -0.019 -0.037
H 0.5079 -5.1073 1.6946 0.018 0.022 -0.006
H -0.7490 -5.0471 0.4705 -0.006 0.019 -0.015
H -1.1796 -4.9470 2.1782 -0.019 0.031 0.002
H 1.7413 -3.1639 0.6975 -0.023 -0.066 0.026
H 0.9597 -1.7007 0.2357 0.014 -0.087 0.067
H 0.5784 -3.1770 -0.6398 -0.045 -0.024 -0.004
S -0.9464 3.1182 0.3236 0.074 0.007 -0.001
C 0.6022 3.4377 0.8495 0.154 -0.019 0.066
N 1.0133 4.7092 1.1351 -0.017 0.110 0.014
C 2.2411 5.0143 1.6025 -0.062 -0.038 -0.025
C 3.1414 4.0143 1.8055 -0.094 -0.008 -0.032
C 2.7052 2.7183 1.4886 0.108 -0.043 0.149
N 1.5099 2.4334 1.0190 -0.299 -0.081 0.018